Alternative usage of WAF with Load Balancer since WAF doesn't support? - azure

In my application, I needed IPv6 support for WAF. Since IPv6 yet not supported by the WAF can I use a load balancer connected to the WAF as the following diagram (because of IPv6 supports Load Balancer)? Is this a good design?

You can not use the Azure load balancer to connect to an application gateway since Azure load balancer only works with VM, VMS, or availability sets as its backend. Have a look at backend pool endpoints here.
More info: Overview of IPv6 for Azure Load Balancer


Azure Load Balancer forwarding request to vm

We have a Azure internal load balancer forwarding request to backend VM'S.
Is there a way to find out how many requests are server by each VM ? In other words how many requests are forwarded to each VM from the load balancer.
You could adopt Standard Load Balancer. You will see some differences between Standard Load Balancer and Basic Load Balancer in that linking document. For internal standard LB, you can check the SYN (synchronize) packets metric which collecting flows and their handshakes are always between the source and the VM instance.
For other scenarios, you could collect the network trace by networking capturing tool like Wireshark.

-- begin --
(1)
K2SnCl6 | PBE | optimized geometry

abc: 7.2398 7.2398 7.2398
angles: 60.00 60.00 60.00
Last column: nearest neighbours and their distance in Å.
Element x y z (fractional)
K  0.2500  0.2500  0.2500  12 Cl 3.62
K  0.7500  0.7500  0.7500  12 Cl 3.62
Sn  0.0000  0.0000  0.0000  6 Cl 2.47
Cl  0.7590  0.2410  0.2410  1 Sn 2.47
Cl  0.2410  0.7590  0.2410  1 Sn 2.47
Cl  0.7590  0.2410  0.7590  1 Sn 2.47
Cl  0.2410  0.7590  0.7590  1 Sn 2.47
Cl  0.2410  0.2410  0.7590  1 Sn 2.47
Cl  0.7590  0.7590  0.2410  1 Sn 2.47

As for the crystal system: cubic.

(2)
Mn3CoP4 | PBE | optimized geometry

abc: 3.1182 5.1560 5.8388
angles: 90.25 90.00 90.00
Last column: nearest neighbours and their distance in Å.
Element x y z (fractional)
Mn  0.7500  0.9964  0.8058  6 P 2.22-2.34
Mn  0.2500  0.5019  0.2928  6 P 2.27-2.40
Mn  0.2500  0.0007  0.2030  6 P 2.29-2.38
Co  0.7500  0.4976  0.6981  6 P 2.24-2.36
P  0.7500  0.3116  0.0659  5 Mn 2.22-2.38, 1 Co 2.36
P  0.7500  0.8149  0.4374  1 Co 2.24, 5 Mn 2.29-2.40
P  0.2500  0.6864  0.9259  2 Co 2.27, 4 Mn 2.29-2.35
P  0.2500  0.1905  0.5710  4 Mn 2.29-2.36, 2 Co 2.34

As for the crystal system: monoclinic.

(3)
CsLiMg14 | PBE | optimized geometry

abc: 6.5827 6.5827 10.8107
angles: 90.00 90.00 120.00
Last column: nearest neighbours and their distance in Å.
Element x y z (fractional)
Cs  0.1667  0.3333  0.6250  12 Mg 3.29-3.51
Li  0.1667  0.3333  0.1250  12 Mg 3.17-3.29
Mg  0.1653  0.8327  0.1250  10 Mg 3.12-3.34, 2 Li 3.29
Mg  0.1711  0.8355  0.6250  10 Mg 3.25-3.46, 2 Cs 3.29
Mg  0.6673  0.3347  0.1250  10 Mg 3.12-3.34, 2 Li 3.29
Mg  0.6645  0.3289  0.6250  10 Mg 3.25-3.46, 2 Cs 3.29
Mg  0.6673  0.8327  0.1250  10 Mg 3.12-3.34, 2 Li 3.29
Mg  0.6645  0.8355  0.6250  10 Mg 3.25-3.46, 2 Cs 3.29
Mg  0.3386  0.1614  0.3551  10 Mg 3.12-3.46, 1 Li 3.17
Mg  0.3386  0.1614  0.8949  10 Mg 3.12-3.46, 1 Li 3.17
Mg  0.3386  0.6772  0.3551  10 Mg 3.12-3.46, 1 Li 3.17
Mg  0.3386  0.6772  0.8949  10 Mg 3.12-3.46, 1 Li 3.17
Mg  0.8228  0.1614  0.3551  10 Mg 3.12-3.46, 1 Li 3.17
Mg  0.8228  0.1614  0.8949  10 Mg 3.12-3.46, 1 Li 3.17
Mg  0.8333  0.6667  0.3801  12 Mg 3.27-3.34
Mg  0.8333  0.6667  0.8699  12 Mg 3.27-3.34

As for the crystal system: hexagonal.

Number 1: energy relative to the elements -1857.0 meV/atom. Number 2: energy relative to the elements -607.6 meV/atom. Number 3: energy relative to the elements 178.4 meV/atom.
-- stop --

Can Azure Application Gateway distribute request to specific URL?

I have a use case where my cluster has 3 VMs working as head node in HPC Pack and a bunch of other VMs working as compute nodes.
So basically, after creating this cluster, i must install a special HCP client, from this client, i type the DNS name of each of VMs to access the HPC management interface.
For example:
Of course, if i access this DNS from Chrome, i only see IIS page.
I wants to create a load balancer with its DNS name. Let's say
So from my client, every time i access load balancer DNS name, i can see the management interface, not IIS page.
How can i do that?
Not sure I'm understanding you correctly. Basically, Azure Application Gateway supports URL path-based routing rules.
Actually, Application Gateway supports web-based traffic load balancing. [Azure load balancer][2] supports stream-based traffic. If you want to listen to the protocol HTTP or HTTPS, you can use Application Gateway. Per your description, you could not access HPC management interface from web explorer, you could use a 4 layer load balancing based on TCP/UDP.
So you could create a public-facing load balancing and add the head node VMs as the backend pools. Create a health probe and load balancing rules to specify the ports you want to listen for your HPC management interface on the each of VMs.
Hope this helps, let me know if you have any concerns.

What is Azure Application level routing?

With built-in load balancing for cloud services and virtual machines, we can create highly-available and scalable applications in minutes. But what is Azure Application level routing and load balancing service and how it differs from built-in load balancing for cloud services and virtual machines
I assume you are talking about Azure Application Gateway and Azure Load Balancer.
The primary difference is that AG works at Layer 7, while LB works at Layer 4.
AG can be used for HTTP traffic routing, TLS termination, HTTP traffic filtering etc.
So you can for example, route requests to the /images path to a different App Service than the rest of the requests.
LB only understands TCP and UDP, and routes packets based on rules to one of the machines in a back-end pool.
So for example when a TCP packet arrives on port 80, LB can route it to a random virtual machine in a collection of VMs serving a web app.
What is Azure Application Gateway?
Load balancer documentation

Difference in Load balancing on Azure LoadBancer and Application Gateway?

I have done Load balancing on Azure using Azure Load Balancing and Application Gateway for HTTPS traffic.
In Azure Load Balancer, we can do health check at port 443 while in Application Gateway there are options to upload SSL certs and for health check we can specify a file like index.html on which we can perform health check.
I know that Application Gateway is the right way, but what is the drawback of using Azure Load balancer.
Can someone explain me this.
Maybe the following table helps understanding the difference between Azure load balancer and Application Gateway:

HTTPS/SSL certificate in Azure VM endpoints

I am new in Windows Azure, previously I have used Amazon Web Services.
In AWS you can set a SSL certificate for a Load Balancer and use it in listeners, so you don't need to worry about that in the web server.
Is it possible to set a SSL certificate for an Azure VM endpoint?
Azure Load Balancer is a layer 4 device, so it can't do SSL termination.
You can use Azure Application Gateway which is a Layer 7 Load Balancer, and it can do SSL termination. see here:
EDIT: I am trying to understand if you are in "classic" VMs or not. Reading your the comments to your question, you ask if Azure VMs are in "Cloud Services" which implies you are in "classic", but it is unclear if you ask this because you have read the wrong doc, or this is the implementation you have. Anyway is it very recommended you get off "classic" and work with modern VMs. Especially for new deployments.
Loadbalancer comparation
Application Load Balancer - Layer 7 - HTTP, HTTPS
Network Load Balancer - layer 4 - TCP, UDP, TLS
Classic - Layer 4/7 - HTTP/HTTPS(layer 7), TCP, SSL/TLS(layer 4)
Load Balancer - Layer 4 - TCP and UDP
Application Gateway - Layer 7 - HTTP, HTTPS(support SSL)
Yes you can
Please check the documentation here:
The Azure terminology is a little different from that of AWS. You can use the Azure Traffic Manager to offload TLS/SSL:
(The Azure Load-Balanced Sets use round-robin DNS balancing, with VMs directly visible, whereas the Traffic Manager hides VMs behind the VIP)
